One can make the argument that the antonyms for moderation are “all” or “nothing.” Having nothing of something automatically makes us crave it, whether that something is potato chips, a banned book if you’re a tween, or, in the case of parents, allowing screen time for babies and toddlers when all you really want is to have a free moment to pee, dammit.
In 2011, when the American Academy of Pediatrics first launched media recommendations for children under the age of two, the first generation iPad did not exist, nor did the plethora of early learning apps that now routinely hit the market. Yet AAP’s first generation of media recommendations instructed parents to not only limit screen interactions to two hours a day for children two and older, they recommended zero screen time for the birth to 24-month-old set.
-- Records of molecules from another source follow --
- - -
1.
The following is a quantum chemistry calculation of the molecule C11H15BO2 in a non-equilibrium geometry, from OMol25.

Geometry as XYZ:
```
29
Properties=species:S:1:pos:R:3:mulliken_charge:R:1
B -0.86470 0.83014 0.85767 0.32
C 4.10577 -0.77239 -0.00621 -0.49
C 3.12273 -1.03981 0.94126 -0.31
C 3.68496 0.03123 -1.16897 -0.50
C 1.87770 -0.47672 0.93180 -0.31
C 2.47706 0.69591 -1.08129 -0.56
C 1.54152 0.36431 -0.08734 1.11
C -2.22382 1.56789 0.38399 -0.64
C -3.02546 0.63539 -0.49004 -0.66
C -2.97781 -0.84141 -0.07023 -0.40
C 0.33580 1.15367 -0.06702 -0.74
C -1.57857 -1.23181 -0.29894 -0.30
O -0.66466 0.16378 2.02361 -0.65
O -1.15699 -1.45301 -1.56953 -0.49
H 5.07092 -1.37760 -0.02181 0.29
H 3.52713 -1.67669 1.82447 0.22
H 4.37120 0.20572 -1.95698 0.42
H 1.15959 -0.52175 1.78189 0.48
H 2.19367 1.23779 -2.05672 0.18
H -2.96583 1.93257 1.15087 0.26
H -1.97396 2.58449 -0.00187 0.30
H -4.03971 1.00117 -0.53301 0.40
H -2.62049 0.70886 -1.45864 0.32
H -3.22093 -0.84201 0.96527 0.19
H -3.71129 -1.38996 -0.69399 0.34
H 0.11067 1.74243 -0.96895 0.17
H -0.86951 -1.73109 0.53162 0.30
H -1.45731 -0.19819 2.56621 0.31
H -0.22767 -1.30294 -1.42712 0.42
```

Output
Calculated total energy, eV: -16418.9179
Gap between HOMO and LUMO (spin up / spin down), hartree: 0.240 / 0.285


2.
The following is a quantum chemistry calculation of a cluster of 5 separate species, C11H15Br9O6 in total in a non-equilibrium geometry, from OMol25.

Geometry as XYZ:
```
41
Properties=species:S:1:pos:R:3:mulliken_charge:R:1
C 2.41168 -3.20407 1.00793 -1.37
C 2.98223 -2.73198 2.35284 0.36
C 3.19709 -3.81439 3.43819 -0.40
O 4.43716 -3.42659 3.96799 -0.35
C 5.10246 -2.52859 3.09535 0.64
O 6.12470 -1.95148 3.29978 -0.51
O 4.30184 -2.28676 2.08615 -0.33
H 2.25961 -2.34407 0.35572 0.32
H 1.39881 -3.55682 1.20222 0.42
H 2.90394 -4.03956 0.51020 0.34
H 2.40494 -1.91883 2.79285 0.29
H 3.35664 -4.76516 2.92956 0.28
H 2.36393 -3.91902 4.13316 0.33
C -2.19478 5.15174 1.29514 -1.43
C -2.45845 3.65787 1.63742 0.57
C -1.79461 2.61057 0.73250 -0.38
O -1.02789 1.82324 1.63413 -0.28
C -1.27191 2.16331 2.90620 0.61
O -0.81203 1.65400 3.92099 -0.56
O -2.07993 3.25620 2.92544 -0.37
H -1.13758 5.35927 1.12975 0.34
H -2.52135 5.77139 2.13031 0.37
H -2.80407 5.55794 0.48776 0.37
H -3.53780 3.61978 1.49022 0.17
H -1.40690 3.06478 -0.17934 0.36
H -2.65373 2.07377 0.33017 0.24
Br -2.06168 -6.33981 -2.49784 0.00
C -3.75392 -5.46793 -1.94301 -0.32
Br -3.55030 -3.90656 -0.70846 -0.01
Br -5.05371 -6.78933 -1.14869 -0.03
H -4.18541 -5.04633 -2.85084 0.37
Br -2.14391 0.43287 -3.73505 -0.01
C -0.51469 -0.59749 -3.28349 -0.28
Br 0.98562 0.54666 -2.61270 -0.01
Br 0.18857 -1.73234 -4.84466 -0.05
H -0.79786 -1.24518 -2.45379 0.35
Br 0.32797 3.50108 -6.26701 -0.02
C 0.76485 4.96471 -4.97805 -0.31
Br -0.98434 5.58394 -4.13769 -0.02
Br 1.83170 6.35375 -5.90231 -0.01
H 1.40307 4.46541 -4.24902 0.36
```

Output
Calculated total energy, eV: -654315.2071
- - -
-- End of the records of molecules --
Zero is a lonely word. Zero does not understand a teen mother who is overwhelmed and needs a mental health break from her 16-month-old and hands her iPhone over to the tot in an effort to gain a few minutes of quiet time. Zero makes one feel guilty, or ineffective.
For library practitioners of early literacy programs who may want to end our Mother Goose program by handing out iPads with the Mother Goose on the Loose app pre-loaded for parent/child interactions, zero presents a bit of a problem. It also suggests something “wrong” or negative when we allow young children to view an episode of Sesame Street with an older sibling.
In a reversal and acknowledgement that “scientific research and policy statements lag behind the pace of digital innovation,” as noted in an article on the AAP site, “Beyond ‘turn it off’: How to advise families on media use,” AAP released newly revised media recommendations in September that acknowledge the basic principle of moderation. Back in May, AAP held a media research symposium, Growing Up Digital, in Rosemont, IL, that largely helped shape the shift in policy guidelines. The key messages taken away from the symposium were, “family participation with media facilitates social interactions and learning. Parents should play a video game with their kids, and always co-view with infants and toddlers,” according to the article.
AAP has also softened its tone to offer a compromise in this new world that the youngest millennials are inheriting. Screens are everywhere now—with no end in sight. In an October 20 press release responding to the new guidelines, Andrew Medlar, president of the Association for Library Services for Children (ALSC), stated, “ALSC strongly encourages families to visit their public library and take time to talk with youth services staff about their digital media usage and literacy needs. Developing a relationship with local library staff leads families to rich experiences and customized, informed decisions on digital media use, a sounder option than relying on one-size-fits-all online recommendation tools.”
So how can libraries adapt to this new message of balance? Key messages from the revised guidelines that are relevant to early learning in libraries include:
· Role modeling is critical. Librarians can use media in early learning settings to model appropriate use for parents and caregivers.
· We learn from each other. Brain research shows that very young children learn best via two-way communication. Adopting the Public Library Association (PLA) and ALSC’s Every Child Ready to Read best practices of Talking, Singing, Reading, Playing, and Writing into early learning programs at the library helps model for caregivers that “talk time” between caregiver and child is necessary for language development—and that screen interactions should be active, not passive, viewing.
- Content matters. This is a natural for librarians to promote within and outside of their buildings to parents and caregivers. By definition, librarians are content curators—which leads to the point below:
- Curation helps. With hundreds of thousands of apps, ebooks, and downloadable media available in today’s digital world, a little curation geared towards the younger set and their parents can go a long way. Create top 10 lists of staff’s favorite apps, ebooks, or media sites that offer interactive and engaging opportunities for families to enjoy together.
- Co-engagement counts. According to AAP, “co-viewing for infants and toddlers is essential.” Librarians can practice giving elevator pitches to early childhood teachers, caregivers, parents, and other staff members as to why talking to young children, and engaging with media together, is vitally important to their brain development and growth.
<<<
Entry 1:
17
Properties=species:S:1:pos:R:3:forces:R:3:lowdin_charge:R:1 method="wB97M-V/def2-TZVPD" relative_energy_kcal_mol=15.2 charge=-2 mol_weight_g_mol=132.115 e_homo_ev=-1.02 orbital_gap_ha=0.28538 max_force_ev_per_a=0.6
C 0.083 -2.375 -0.804 -0.29 -0.18 0.07 -0.054
C 0.337 -1.482 -2.033 0.13 -0.18 -0.21 -0.819
O -0.241 -1.775 -3.115 -0.12 -0.09 0.08 -0.153
O 1.155 -0.565 -1.828 0.14 0.28 -0.22 -0.105
H -0.734 -3.086 -0.945 -0.05 0.02 -0.17 0.042
H -0.144 -1.757 0.066 0.17 -0.03 0.03 0.053
H 0.993 -2.951 -0.606 0.02 0.12 0.10 0.052
C -0.801 1.484 0.653 -0.06 -0.34 -0.07 -0.189
C -0.182 2.866 0.514 0.34 0.54 -0.02 -0.141
C -0.254 0.662 1.861 -0.21 0.10 0.21 -0.757
O 0.947 0.815 2.171 -0.02 0.05 0.05 -0.101
O -1.117 -0.051 2.443 0.17 -0.03 -0.09 -0.138
H -1.881 1.466 0.791 -0.14 0.43 -0.03 0.080
H -0.633 0.952 -0.286 0.28 -0.34 0.20 0.088
H 0.737 2.916 1.105 -0.07 -0.14 0.10 0.052
H -0.824 3.694 0.833 -0.14 -0.09 0.13 0.043
H 0.132 3.102 -0.506 -0.15 -0.11 -0.15 0.051

***

Entry 2:
176
Properties=species:S:1:pos:R:3:forces:R:3:lowdin_charge:R:1 method="wB97M-V/def2-TZVPD" mol_weight_g_mol=1299.218 e_homo_ev=-9.56 orbital_gap_ha=0.35481 max_force_ev_per_a=5.0
C -2.351 -4.192 -2.399 1.46 0.07 -1.18 -0.653
O -1.382 -4.726 -2.993 -2.14 -0.02 0.97 -0.015
N -3.680 -4.446 -2.449 -0.88 -0.95 -0.47 0.153
N -2.109 -3.107 -1.627 1.04 1.53 0.58 0.173
H -4.327 -3.804 -1.997 0.42 -0.14 0.16 0.057
H -4.084 -5.364 -2.527 0.53 -0.20 -0.52 0.114
H -1.276 -2.583 -1.882 -0.20 -0.15 0.22 0.082
H -2.839 -2.558 -1.190 0.04 -0.45 -0.18 0.067
C -2.868 -3.992 4.078 1.40 -1.04 -2.11 -0.662
O -2.314 -4.792 3.274 -0.66 1.10 1.12 -0.045
N -2.790 -2.655 3.934 -0.04 0.10 -0.23 0.194
N -3.641 -4.423 5.081 -1.03 -0.59 1.46 0.166
H -3.214 -2.063 4.609 -0.45 0.46 0.69 0.051
H -2.034 -2.249 3.425 0.46 -0.18 -0.49 0.074
H -3.543 -5.391 5.393 -0.14 0.73 -0.41 0.125
H -4.079 -3.747 5.709 0.32 -0.42 -0.27 0.107
C 5.882 -3.664 -0.213 -1.08 -0.29 -1.65 -0.636
O 5.394 -4.445 -1.090 0.97 0.76 1.48 -0.062
N 6.275 -2.428 -0.559 1.61 1.56 1.17 0.166
N 5.930 -3.940 1.101 0.94 1.97 0.81 0.178
H 6.304 -2.117 -1.540 0.06 -0.25 0.36 0.062
H 6.849 -1.902 0.157 -1.03 -0.84 -1.37 0.122
H 5.512 -4.788 1.341 -0.46 -1.26 0.78 0.082
H 6.214 -3.183 1.804 -0.49 -1.59 -1.30 0.097
C -0.492 -0.686 -5.039 1.44 -2.12 -0.58 -0.664
O -1.502 -0.255 -5.581 -0.64 0.89 -0.16 -0.007
N 0.248 -0.078 -4.110 0.35 -0.18 0.19 0.199
N 0.101 -1.883 -5.434 -2.17 -1.37 -1.02 0.140
H 0.013 0.846 -3.916 -0.50 1.57 0.86 0.050
H 0.817 -0.630 -3.473 -0.12 0.13 -0.27 0.073
H -0.598 -2.536 -5.907 1.45 1.30 0.96 0.137
H 0.672 -2.339 -4.720 -0.26 0.11 -0.13 0.046
C 5.971 -0.877 2.913 -1.72 2.20 -0.79 -0.616
O 6.877 -1.625 2.577 -0.29 0.01 0.32 0.006
N 5.028 -0.351 2.028 0.85 -0.48 -1.66 0.160
N 5.828 -0.312 4.185 -0.46 -1.09 1.30 0.140
H 5.258 -0.262 0.995 -0.29 -0.45 2.05 0.114
H 4.289 0.291 2.299 0.44 -0.13 0.28 0.064
H 6.129 -0.944 4.911 0.96 -0.23 -0.08 0.091
H 4.914 -0.040 4.576 0.22 0.23 -1.41 0.094
>>>
End of the quantum chemistry results.
- Playtime is important. While media in moderation is OK, it should never take the place of some good old-fashioned playtime. Libraries can offer open-ended, play-based early learning sessions to model the value of play to parents and caregivers.
The new guidelines also complement ALSC’s recent white paper on Media Mentorship, offering libraries ways to act as guides for parents and caregivers in the ever-growing, ever-changing world of screens and all things media—in moderation, of course.